What is needed: write out the whole of the listing further down character by character.

=====
Simulated powder diffraction line list
Compound: Tb4Co6O19
Radiation: Cu Kα X-rays
Structure: a DFT-relaxed cell (GGA+U, Alexandria)
Intensities are scaled so that the largest is 100.

Structural model:
Cell lengths 7.3432, 7.3432, 7.3432 Å; angles 109.47, 109.47, 109.47 degrees
Fractional coordinates of all 29 atoms:
Tb (0.0000, 0.0000, 0.3267)
Tb (0.0000, 0.3267, 0.0000)
Tb (0.3267, 0.0000, 0.0000)
Tb (0.6733, 0.6733, 0.6733)
Co (0.1595, 0.5000, 0.6595)
Co (0.3405, 0.8405, 0.5000)
Co (0.5000, 0.3405, 0.8405)
Co (0.5000, 0.6595, 0.1595)
Co (0.6595, 0.1595, 0.5000)
Co (0.8405, 0.5000, 0.3405)
O (0.0000, 0.0000, 0.0000)
O (0.0000, 0.3502, 0.3502)
O (0.0000, 0.6498, 0.6498)
O (0.0370, 0.6752, 0.2837)
O (0.2467, 0.6383, 0.9630)
O (0.2837, 0.0370, 0.6752)
O (0.3248, 0.3617, 0.6084)
O (0.3502, 0.0000, 0.3502)
O (0.3502, 0.3502, 0.0000)
O (0.3617, 0.6084, 0.3248)
O (0.3916, 0.7533, 0.7163)
O (0.6084, 0.3248, 0.3617)
O (0.6383, 0.9630, 0.2467)
O (0.6498, 0.0000, 0.6498)
O (0.6498, 0.6498, 0.0000)
O (0.6752, 0.2837, 0.0370)
O (0.7163, 0.3916, 0.7533)
O (0.7533, 0.7163, 0.3916)
O (0.9630, 0.2467, 0.6383)

Main lines, low angle first (2θ from 10° to 90°):
d 3.462, intensity 100
d 2.681, intensity 57
d 2.448, intensity 15
d 2.266, intensity 26
d 1.999, intensity 63
d 1.731, intensity 20
d 1.663, intensity 18
d 1.548, intensity 20
d 1.413, intensity 26
d 1.154, intensity 22


No. 1
# Sr2AlCO3F5
Simulated powder X-ray diffraction pattern, Cu Kα. Input: a structure optimized by DFT (PBE).

Structural model:
a = 5.5198 Å, b = 8.8546 Å, c = 13.6569 Å
α = 90.00°, β = 105.29°, γ = 90.00°
Fractional positions:
Sr: 0.1921 0.1089 0.4015
Sr: 0.1921 0.3911 0.9015
Sr: 0.1951 0.6408 0.4115
Sr: 0.1951 0.8592 0.9115
Sr: 0.8049 0.1408 0.0885
Sr: 0.8049 0.3592 0.5885
Sr: 0.8079 0.6089 0.0985
Sr: 0.8079 0.8911 0.5985
Al: 0.3031 0.6280 0.6696
Al: 0.3031 0.8720 0.1696
Al: 0.6969 0.1280 0.8304
Al: 0.6969 0.3720 0.3304
C: 0.3258 0.1247 0.6386
C: 0.3258 0.3753 0.1386
C: 0.6742 0.6247 0.8614
C: 0.6742 0.8753 0.3614
O: 0.0901 0.1211 0.5876
O: 0.0901 0.3789 0.0876
O: 0.3820 0.1290 0.7367
O: 0.3820 0.3710 0.2367
O: 0.4964 0.1238 0.5888
O: 0.4964 0.3762 0.0888
O: 0.5036 0.6238 0.9112
O: 0.5036 0.8762 0.4112
O: 0.6180 0.6290 0.7633
O: 0.6180 0.8710 0.2633
O: 0.9099 0.6211 0.9124
O: 0.9099 0.8789 0.4124
F: 0.0102 0.1287 0.9300
F: 0.0102 0.3713 0.4300
F: 0.1699 0.7266 0.2339
F: 0.1699 0.7734 0.7339
F: 0.1746 0.0275 0.2263
F: 0.1746 0.4725 0.7263
F: 0.3940 0.7244 0.0913
F: 0.3940 0.7756 0.5913
F: 0.4136 0.0063 0.0888
F: 0.4136 0.4937 0.5888
F: 0.5864 0.5063 0.4112
F: 0.5864 0.9937 0.9112
F: 0.6060 0.2244 0.4087
F: 0.6060 0.2756 0.9087
F: 0.8254 0.5275 0.2737
F: 0.8254 0.9725 0.7737
F: 0.8301 0.2266 0.2661
F: 0.8301 0.2734 0.7661
F: 0.9898 0.6287 0.5700
F: 0.9898 0.8713 0.0700

Main lines, sorted by position (10 to 90 degrees two-theta):
| 2θ (°) | d [Å] | Rel. int. |
| --- | --- | --- |
| 25.9 | 3.439 | 100 |
| 27.1 | 3.293 | 21 |
| 27.8 | 3.204 | 21 |
| 28.2 | 3.169 | 19 |
| 28.6 | 3.118 | 26 |
| 39.6 | 2.278 | 17 |
| 40.2 | 2.242 | 16 |
| 41.1 | 2.196 | 22 |
| 41.7 | 2.167 | 18 |
| 46.4 | 1.957 | 22 |
| 47.9 | 1.899 | 17 |
| 50.1 | 1.821 | 15 |

***

No. 2
# Rb3TeH6Cl3O6
Simulated powder X-ray diffraction pattern, Cu Kα. Input: a structure optimized by DFT (PBE).

Structural model:
a = 9.2618 Å, b = 9.2618 Å, c = 9.2618 Å
α = 106.21°, β = 106.21°, γ = 106.21°
Fractional positions:
Rb: 0.2043 0.7500 0.2957
Rb: 0.2500 0.7043 0.7957
Rb: 0.2957 0.2043 0.7500
Rb: 0.7043 0.7957 0.2500
Rb: 0.7500 0.2957 0.2043
Rb: 0.7957 0.2500 0.7043
Te: 0.0000 0.0000 0.0000
Te: 0.5000 0.5000 0.5000
H: 0.0730 0.0973 0.2986
H: 0.0973 0.2986 0.0730
H: 0.2014 0.4027 0.4270
H: 0.2986 0.0730 0.0973
H: 0.4027 0.4270 0.2014
H: 0.4270 0.2014 0.4027
H: 0.5730 0.7986 0.5973
H: 0.5973 0.5730 0.7986
H: 0.7014 0.9270 0.9027
H: 0.7986 0.5973 0.5730
H: 0.9027 0.7014 0.9270
H: 0.9270 0.9027 0.7014
Cl: 0.0174 0.2500 0.4826
Cl: 0.2500 0.4826 0.0174
Cl: 0.4826 0.0174 0.2500
Cl: 0.5174 0.9826 0.7500
=====

Simulated powder diffraction line list
Compound: Tb4Co6O19
Radiation: Cu Kα X-rays
Structure: a DFT-relaxed cell (GGA+U, Alexandria)
Intensities are scaled so that the largest is 100.

Structural model:
Cell lengths 7.3432, 7.3432, 7.3432 Å; angles 109.47, 109.47, 109.47 degrees
Fractional coordinates of all 29 atoms:
Tb (0.0000, 0.0000, 0.3267)
Tb (0.0000, 0.3267, 0.0000)
Tb (0.3267, 0.0000, 0.0000)
Tb (0.6733, 0.6733, 0.6733)
Co (0.1595, 0.5000, 0.6595)
Co (0.3405, 0.8405, 0.5000)
Co (0.5000, 0.3405, 0.8405)
Co (0.5000, 0.6595, 0.1595)
Co (0.6595, 0.1595, 0.5000)
Co (0.8405, 0.5000, 0.3405)
O (0.0000, 0.0000, 0.0000)
O (0.0000, 0.3502, 0.3502)
O (0.0000, 0.6498, 0.6498)
O (0.0370, 0.6752, 0.2837)
O (0.2467, 0.6383, 0.9630)
O (0.2837, 0.0370, 0.6752)
O (0.3248, 0.3617, 0.6084)
O (0.3502, 0.0000, 0.3502)
O (0.3502, 0.3502, 0.0000)
O (0.3617, 0.6084, 0.3248)
O (0.3916, 0.7533, 0.7163)
O (0.6084, 0.3248, 0.3617)
O (0.6383, 0.9630, 0.2467)
O (0.6498, 0.0000, 0.6498)
O (0.6498, 0.6498, 0.0000)
O (0.6752, 0.2837, 0.0370)
O (0.7163, 0.3916, 0.7533)
O (0.7533, 0.7163, 0.3916)
O (0.9630, 0.2467, 0.6383)

Main lines, low angle first (2θ from 10° to 90°):
d 3.462, intensity 100
d 2.681, intensity 57
d 2.448, intensity 15
d 2.266, intensity 26
d 1.999, intensity 63
d 1.731, intensity 20
d 1.663, intensity 18
d 1.548, intensity 20
d 1.413, intensity 26
d 1.154, intensity 22


No. 1
# Sr2AlCO3F5
Simulated powder X-ray diffraction pattern, Cu Kα. Input: a structure optimized by DFT (PBE).

Structural model:
a = 5.5198 Å, b = 8.8546 Å, c = 13.6569 Å
α = 90.00°, β = 105.29°, γ = 90.00°
Fractional positions:
Sr: 0.1921 0.1089 0.4015
Sr: 0.1921 0.3911 0.9015
Sr: 0.1951 0.6408 0.4115
Sr: 0.1951 0.8592 0.9115
Sr: 0.8049 0.1408 0.0885
Sr: 0.8049 0.3592 0.5885
Sr: 0.8079 0.6089 0.0985
Sr: 0.8079 0.8911 0.5985
Al: 0.3031 0.6280 0.6696
Al: 0.3031 0.8720 0.1696
Al: 0.6969 0.1280 0.8304
Al: 0.6969 0.3720 0.3304
C: 0.3258 0.1247 0.6386
C: 0.3258 0.3753 0.1386
C: 0.6742 0.6247 0.8614
C: 0.6742 0.8753 0.3614
O: 0.0901 0.1211 0.5876
O: 0.0901 0.3789 0.0876
O: 0.3820 0.1290 0.7367
O: 0.3820 0.3710 0.2367
O: 0.4964 0.1238 0.5888
O: 0.4964 0.3762 0.0888
O: 0.5036 0.6238 0.9112
O: 0.5036 0.8762 0.4112
O: 0.6180 0.6290 0.7633
O: 0.6180 0.8710 0.2633
O: 0.9099 0.6211 0.9124
O: 0.9099 0.8789 0.4124
F: 0.0102 0.1287 0.9300
F: 0.0102 0.3713 0.4300
F: 0.1699 0.7266 0.2339
F: 0.1699 0.7734 0.7339
F: 0.1746 0.0275 0.2263
F: 0.1746 0.4725 0.7263
F: 0.3940 0.7244 0.0913
F: 0.3940 0.7756 0.5913
F: 0.4136 0.0063 0.0888
F: 0.4136 0.4937 0.5888
F: 0.5864 0.5063 0.4112
F: 0.5864 0.9937 0.9112
F: 0.6060 0.2244 0.4087
F: 0.6060 0.2756 0.9087
F: 0.8254 0.5275 0.2737
F: 0.8254 0.9725 0.7737
F: 0.8301 0.2266 0.2661
F: 0.8301 0.2734 0.7661
F: 0.9898 0.6287 0.5700
F: 0.9898 0.8713 0.0700

Main lines, sorted by position (10 to 90 degrees two-theta):
| 2θ (°) | d [Å] | Rel. int. |
| --- | --- | --- |
| 25.9 | 3.439 | 100 |
| 27.1 | 3.293 | 21 |
| 27.8 | 3.204 | 21 |
| 28.2 | 3.169 | 19 |
| 28.6 | 3.118 | 26 |
| 39.6 | 2.278 | 17 |
| 40.2 | 2.242 | 16 |
| 41.1 | 2.196 | 22 |
| 41.7 | 2.167 | 18 |
| 46.4 | 1.957 | 22 |
| 47.9 | 1.899 | 17 |
| 50.1 | 1.821 | 15 |

***

No. 2
# Rb3TeH6Cl3O6
Simulated powder X-ray diffraction pattern, Cu Kα. Input: a structure optimized by DFT (PBE).

Structural model:
a = 9.2618 Å, b = 9.2618 Å, c = 9.2618 Å
α = 106.21°, β = 106.21°, γ = 106.21°
Fractional positions:
Rb: 0.2043 0.7500 0.2957
Rb: 0.2500 0.7043 0.7957
Rb: 0.2957 0.2043 0.7500
Rb: 0.7043 0.7957 0.2500
Rb: 0.7500 0.2957 0.2043
Rb: 0.7957 0.2500 0.7043
Te: 0.0000 0.0000 0.0000
Te: 0.5000 0.5000 0.5000
H: 0.0730 0.0973 0.2986
H: 0.0973 0.2986 0.0730
H: 0.2014 0.4027 0.4270
H: 0.2986 0.0730 0.0973
H: 0.4027 0.4270 0.2014
H: 0.4270 0.2014 0.4027
H: 0.5730 0.7986 0.5973
H: 0.5973 0.5730 0.7986
H: 0.7014 0.9270 0.9027
H: 0.7986 0.5973 0.5730
H: 0.9027 0.7014 0.9270
H: 0.9270 0.9027 0.7014
Cl: 0.0174 0.2500 0.4826
Cl: 0.2500 0.4826 0.0174
Cl: 0.4826 0.0174 0.2500
Cl: 0.5174 0.9826 0.7500